<<<
100
Properties=species:S:1:pos:R:3 method="wB97M-V/def2-TZVPD" max_force_ha_per_bohr=0.060 spin_multiplicity=2 s2=0.7506 e_tot_ha=-6195.05737 homo_ev="-7.521 / -8.088" lumo_energy_ev="0.47 / 0.47" gap_ev="8.0 / 8.6"
C 4.13983 -1.27613 -2.86875
C 3.73724 0.12644 -2.52977
H 4.99965 -1.26547 -3.55493
H 3.32272 -1.82085 -3.37290
H 4.40791 -1.83332 -1.96346
C 3.83617 1.11202 -3.44640
C 4.14166 0.88160 -4.88357
H 3.76266 2.16100 -3.15797
H 3.63417 -0.02860 -5.24662
H 5.22013 0.77455 -5.09128
H 3.77779 1.71858 -5.49380
Ce 0.00700 -1.29101 -0.51786
Cl 1.16753 -1.61646 1.87089
Cl -1.92573 -2.09547 -2.19062
H -4.45302 -0.76055 3.61081
H -3.24518 -2.47803 5.00150
C -4.16087 -1.22469 2.65946
C -3.17928 -3.04173 4.06257
N -3.05720 -2.14286 2.91737
H -3.84247 -0.46456 1.94372
C -2.04001 -2.25110 2.06996
O -1.88470 -1.53266 1.03935
H -2.29578 -3.68582 4.10991
H -1.28554 -3.00406 2.34724
H -5.02158 -1.78289 2.26350
H -4.07518 -3.67278 3.97908
H 1.33721 -0.24617 -3.68478
H 1.20798 2.62378 -4.50518
C 0.32253 -0.07497 -4.08214
C 0.13531 2.37809 -4.54254
N -0.17598 1.24283 -3.67200
H -0.35709 -0.86944 -3.74688
C -0.77176 1.46990 -2.49290
O -0.80630 0.64064 -1.54294
H -0.44080 3.24839 -4.20847
H -1.20091 2.47909 -2.38174
H 0.38574 -0.06510 -5.17492
H -0.11455 2.12485 -5.57577
O 1.87953 -0.37261 -1.10230
C 3.11257 0.31262 -1.14973
C 2.02369 2.51380 -1.55380
C 2.94234 1.78994 -0.80670
H 1.50233 1.95619 -2.32787
C 1.83690 3.88801 -1.37150
H 3.79069 -0.13006 -0.39411
C 3.72489 2.44884 0.14104
H 1.03337 4.39445 -1.91548
C 2.70132 4.55792 -0.50848
C 3.62001 3.83722 0.25693
H 4.41931 1.87720 0.76045
H 2.62676 5.64254 -0.42057
H 4.25080 4.37216 0.97075
Si 0.27463 -5.27521 -0.90013
Cl 1.37950 -3.45260 -1.51438
C -1.25417 -5.44438 -1.92740
C 0.09157 -5.25681 0.95138
C 1.49389 -6.59462 -1.38977
H -1.67791 -4.46076 -2.16217
H -2.02394 -6.03263 -1.41069
H -1.01941 -5.95674 -2.87141
H 1.55563 -6.66030 -2.48369
H 1.18322 -7.57522 -0.99866
H 2.49146 -6.33776 -0.99018
H 0.02523 -4.26321 1.40448
H 0.98090 -5.75295 1.37309
H -0.79069 -5.84746 1.22835
C -2.80275 0.85367 5.78377
C -3.48147 1.74323 4.94997
C -3.01582 1.98627 3.65368
C -1.85361 1.35253 3.21182
C -1.22124 0.39540 4.01524
C -1.67401 0.17489 5.31597
As -1.00229 1.77423 1.48051
C -2.35081 3.03316 0.82640
C -3.09809 2.58667 -0.27662
C -4.03426 3.43639 -0.86701
C -4.25090 4.71794 -0.34225
C -3.56376 5.13021 0.80183
C -2.63395 4.27565 1.40602
C 0.31433 3.08042 2.16073
C 0.35713 4.42773 1.79710
C 1.21062 5.29802 2.47875
C 2.09576 4.80772 3.43989
C 2.14582 3.43351 3.70058
>>>

Retype the calculation results above with every line break kept, please.

100
Properties=species:S:1:pos:R:3 method="wB97M-V/def2-TZVPD" max_force_ha_per_bohr=0.060 spin_multiplicity=2 s2=0.7506 e_tot_ha=-6195.05737 homo_ev="-7.521 / -8.088" lumo_energy_ev="0.47 / 0.47" gap_ev="8.0 / 8.6"
C 4.13983 -1.27613 -2.86875
C 3.73724 0.12644 -2.52977
H 4.99965 -1.26547 -3.55493
H 3.32272 -1.82085 -3.37290
H 4.40791 -1.83332 -1.96346
C 3.83617 1.11202 -3.44640
C 4.14166 0.88160 -4.88357
H 3.76266 2.16100 -3.15797
H 3.63417 -0.02860 -5.24662
H 5.22013 0.77455 -5.09128
H 3.77779 1.71858 -5.49380
Ce 0.00700 -1.29101 -0.51786
Cl 1.16753 -1.61646 1.87089
Cl -1.92573 -2.09547 -2.19062
H -4.45302 -0.76055 3.61081
H -3.24518 -2.47803 5.00150
C -4.16087 -1.22469 2.65946
C -3.17928 -3.04173 4.06257
N -3.05720 -2.14286 2.91737
H -3.84247 -0.46456 1.94372
C -2.04001 -2.25110 2.06996
O -1.88470 -1.53266 1.03935
H -2.29578 -3.68582 4.10991
H -1.28554 -3.00406 2.34724
H -5.02158 -1.78289 2.26350
H -4.07518 -3.67278 3.97908
H 1.33721 -0.24617 -3.68478
H 1.20798 2.62378 -4.50518
C 0.32253 -0.07497 -4.08214
C 0.13531 2.37809 -4.54254
N -0.17598 1.24283 -3.67200
H -0.35709 -0.86944 -3.74688
C -0.77176 1.46990 -2.49290
O -0.80630 0.64064 -1.54294
H -0.44080 3.24839 -4.20847
H -1.20091 2.47909 -2.38174
H 0.38574 -0.06510 -5.17492
H -0.11455 2.12485 -5.57577
O 1.87953 -0.37261 -1.10230
C 3.11257 0.31262 -1.14973
C 2.02369 2.51380 -1.55380
C 2.94234 1.78994 -0.80670
H 1.50233 1.95619 -2.32787
C 1.83690 3.88801 -1.37150
H 3.79069 -0.13006 -0.39411
C 3.72489 2.44884 0.14104
H 1.03337 4.39445 -1.91548
C 2.70132 4.55792 -0.50848
C 3.62001 3.83722 0.25693
H 4.41931 1.87720 0.76045
H 2.62676 5.64254 -0.42057
H 4.25080 4.37216 0.97075
Si 0.27463 -5.27521 -0.90013
Cl 1.37950 -3.45260 -1.51438
C -1.25417 -5.44438 -1.92740
C 0.09157 -5.25681 0.95138
C 1.49389 -6.59462 -1.38977
H -1.67791 -4.46076 -2.16217
H -2.02394 -6.03263 -1.41069
H -1.01941 -5.95674 -2.87141
H 1.55563 -6.66030 -2.48369
H 1.18322 -7.57522 -0.99866
H 2.49146 -6.33776 -0.99018
H 0.02523 -4.26321 1.40448
H 0.98090 -5.75295 1.37309
H -0.79069 -5.84746 1.22835
C -2.80275 0.85367 5.78377
C -3.48147 1.74323 4.94997
C -3.01582 1.98627 3.65368
C -1.85361 1.35253 3.21182
C -1.22124 0.39540 4.01524
C -1.67401 0.17489 5.31597
As -1.00229 1.77423 1.48051
C -2.35081 3.03316 0.82640
C -3.09809 2.58667 -0.27662
C -4.03426 3.43639 -0.86701
C -4.25090 4.71794 -0.34225
C -3.56376 5.13021 0.80183
C -2.63395 4.27565 1.40602
C 0.31433 3.08042 2.16073
C 0.35713 4.42773 1.79710
C 1.21062 5.29802 2.47875
C 2.09576 4.80772 3.43989
C 2.14582 3.43351 3.70058